A priest friend of mine offered a quote from another priest suggesting a good missionary "takes people where they are." The comment was shared in relation to a Bible account I've always enjoyed where St. Paul, walking the streets of Athens, discovered a place of honor devoted "To an Unknown God." He used this as his point of departure in telling Athenians he was there to reveal to them this unknown God.
The quote and story provide a great business strategy lesson for change agents trying to catalyze significant innovation:
Before you do anything, listen and observe.
# Misplaced crystal structures
[1]
PrMg2Ga | PBE | relaxed

a b c (Å): 4.665 6.007 7.475
angles (deg): 90.00 90.00 112.81
Positions (direct):
Pr1 0.922 0.845 0.250
Pr2 0.078 0.155 0.750
Ga1 0.792 0.584 0.750
Ga2 0.208 0.416 0.250
Mg1 0.637 0.274 0.446
Mg2 0.363 0.726 0.946
Mg3 0.363 0.726 0.554
Mg4 0.637 0.274 0.054

Output
* polymorph energy (0 for the lowest one): 0 meV/atom
* symmetry: No. 63
* DFT formation energy: -317 meV per atom

---

[2]
PrMgGaPt2 | PBE | relaxed

a b c (Å): 4.084 4.084 6.758
angles (deg): 107.59 107.59 90.00
Positions (direct):
Pt1 0.388 0.388 0.776
Pt2 0.612 0.612 0.224
Pr1 0.000 0.000 0.000
Ga1 0.250 0.750 0.500
Mg1 0.750 0.250 0.500

Output
* symmetry: No. 119
* DFT formation energy: -923 meV per atom

---

[3]
Pr2MgGa2Pt5 | PBE | relaxed

a b c (Å): 3.796 10.036 10.036
angles (deg): 90.00 90.00 90.00
Positions (direct):
Ga1 0.000 0.122 0.622
Ga2 0.000 0.878 0.378
Ga3 0.000 0.622 0.878
Ga4 0.000 0.378 0.122
Pt1 0.500 0.000 0.500
Pt2 0.500 0.061 0.791
Pt3 0.500 0.291 0.561
Pt4 0.500 0.561 0.709
Pt5 0.500 0.939 0.209
Pt6 0.500 0.709 0.439
Pt7 0.500 0.791 0.939
Pt8 0.500 0.439 0.291
Pt9 0.500 0.500 0.000
Pt10 0.500 0.209 0.061
Pr1 0.000 0.823 0.677
Pr2 0.000 0.323 0.823
Pr3 0.000 0.677 0.177
Pr4 0.000 0.177 0.323
Mg1 0.000 0.000 0.000
Mg2 0.000 0.500 0.500

Output
* symmetry: No. 127
* DFT formation energy: -831 meV per atom

---

[4]
Pr2MgGa4Pt3 | PBE | relaxed

a b c (Å): 4.281 4.281 10.968
angles (deg): 90.00 90.00 90.00
Positions (direct):
Ga1 0.500 0.000 0.644
Ga2 0.500 0.500 0.000
Ga3 0.000 0.500 0.356
Ga4 0.000 0.000 0.000
Pt1 0.500 0.000 0.871
Pt2 0.000 0.000 0.500
Pt3 0.000 0.500 0.129
Pr1 0.000 0.500 0.764
Pr2 0.500 0.000 0.236
Mg1 0.500 0.500 0.500

Output
* symmetry: No. 115
* DFT formation energy: -869 meV per atom

---

[5]
PrMgGa4Pt2 | PBE | relaxed

a b c (Å): 4.374 4.374 9.317
angles (deg): 76.42 76.42 60.00
Positions (direct):
Ga1 0.123 0.123 0.631
Ga2 0.604 0.604 0.189
Ga3 0.396 0.396 0.811
Ga4 0.877 0.877 0.369
Pr1 0.000 0.000 0.000
Pt1 0.229 0.229 0.312
Pt2 0.771 0.771 0.688
Mg1 0.500 0.500 0.500

Output
* symmetry: No. 166
* DFT formation energy: -653 meV per atom

---

[6]
PrMgGa2Pt2 | PBE | relaxed

a b c (Å): 4.429 4.429 6.898
angles (deg): 90.00 90.00 120.00
Positions (direct):
Ga1 0.333 0.667 0.300
Ga2 0.667 0.333 0.700
Mg1 0.000 0.000 0.500
Pr1 0.000 0.000 0.000
Pt1 0.333 0.667 0.705
Pt2 0.667 0.333 0.295

Output
* symmetry: No. 164
* DFT formation energy: -894 meV per atom

---

[7]
Pr2MgGaPt6 | PBE | relaxed

a b c (Å): 8.495 5.678 8.495
angles (deg): 70.57 39.02 90.07
Positions (direct):
Pt1 0.250 0.257 0.992
Pt2 0.750 0.743 0.008
Pt3 0.258 0.250 0.501
Pt4 0.751 0.250 0.008
Pt5 0.742 0.750 0.499
Pt6 0.249 0.750 0.992
Pr1 0.793 0.206 0.587
Pr2 0.207 0.794 0.413
Ga1 0.000 0.000 0.000
Mg1 0.500 0.500 0.000

Output
* symmetry: No. 12
* DFT formation energy: -736 meV per atom

---

[8]
Pr2MgGa3Pt4 | PBE | relaxed

a b c (Å): 4.172 4.172 11.356
angles (deg): 90.00 90.00 90.00
Positions (direct):
Ga1 0.000 0.500 0.130
It's critical to first get a sense of the people you are trying to transform. A great strategic observer will be able to readily detect instances where people desire (or are already leaning toward) a new approach.
Starting your transformation strategy by absorbing people's mindsets and dispositions allows you to structure your change agenda to begin with areas of agreement, not areas of conflict. This strategy allows you to gain credibility, build trust, and typically uncover further insights as others begin to open up and share more personal hopes and concerns. All these inputs allow you to better tailor your message and successfully take people from where they currently are.
What comes next are materials data, not part of the text:
=====
A) DFT (PBE) results for a relaxed TaVNi crystal.

Summary:
**D(E_F)**: 1.684 states/eV/atom
**Magnetization**: 0.35 μB/cell

Unit cell a=3.135 b=3.135 c=8.768 alpha=90.00 beta=90.00 gamma=90.00
Positions (direct):
Ta1 0.000 0.000 0.000
Ta2 0.500 0.500 0.500
V1 0.000 0.000 0.325
V2 0.500 0.500 0.825
Ni1 0.000 0.000 0.672
Ni2 0.500 0.500 0.172

B) DFT (PBE) results for a relaxed TaVNi crystal.

Summary:
**D(E_F)**: 0.897 states/eV/atom
**Magnetization**: 0.00 μB/cell

Unit cell a=4.314 b=4.314 c=5.271 alpha=90.00 beta=90.00 gamma=120.00
Positions (direct):
Ta1 0.000 0.000 0.000
Ta2 0.333 0.667 0.625
V1 0.000 0.000 0.500
V2 0.667 0.333 0.809
Ni1 0.333 0.667 0.128
Ni2 0.667 0.333 0.310

C) DFT (PBE) results for a relaxed TaVNi crystal.

Summary:
**D(E_F)**: 1.210 states/eV/atom
**Magnetization**: 0.00 μB/cell

Unit cell a=4.733 b=6.063 c=6.012 alpha=90.00 beta=90.00 gamma=90.00
Positions (direct):
Ta1 0.250 0.154 0.000
Ta2 0.250 0.346 0.500
Ta3 0.750 0.654 0.500
Ta4 0.750 0.846 0.000
V1 0.250 0.661 0.189
V2 0.250 0.839 0.689
V3 0.750 0.161 0.689
V4 0.750 0.339 0.189
Ni1 0.000 0.000 0.352
Ni2 0.000 0.500 0.852
Ni3 0.500 0.000 0.352
Ni4 0.500 0.500 0.852

D) DFT (PBE) results for a relaxed TaVNi crystal.

Summary:
**D(E_F)**: 1.410 states/eV/atom
**Magnetization**: 0.00 μB/cell

Unit cell a=4.400 b=4.400 c=2.587 alpha=90.00 beta=90.00 gamma=120.00
Positions (direct):
Ta1 0.000 0.000 0.000
V1 0.667 0.333 0.494
Ni1 0.333 0.667 0.508

In eV/atom, relative to the most stable structure: A) 0.122; B) 0.078; C) 0.000; D) 0.270.
=====
This is why smart turnaround people conduct listening sessions and tours before trying to implement huge transitional change. Don't interpret this as suggesting big changes have to be put on hold for extended periods of time. It simply means that observing first will allow you to sequence and implement changes with the greatest likelihood of success.
One of my favorite stories from having watched business turnaround CEO specialist Maury Myers occurred during his first few weeks at our company. It was a corporation in shock, with its first truly significant leadership change in 40 years. People were down in the dumps and wanted something signaling management was in touch with what was happening. At his first town hall meeting, Maury told the corporate office staff he knew the senior management group had been debating adopting an all business casual environment. It made sense he told us, so the next Monday, it was business casual five days a week.
**The page is interrupted by crystal structures:**
## Li2MgMoF6 (PBE+U)

Data for Li2MgMoF6 after structural relaxation.

a b c (Å): 5.301 5.299 5.607
angles (deg): 62.67 63.02 60.08
Each line ends with the local moment (μB).
Fractional coordinates of all 10 atoms:
F1 0.569 0.245 0.266  0.01
F2 0.114 0.392 0.775  0.01
Li1 0.037 0.023 0.914  0.00
F3 0.925 0.573 0.256  0.01
F4 0.394 0.706 0.776  0.00
F5 0.713 0.117 0.778  0.01
F6 0.244 0.928 0.253  0.00
Mo1 0.821 0.820 0.538  1.82
Mg1 0.320 0.318 0.043  0.00
Li2 0.527 0.540 0.417  0.00

E in eV per atom: -5.0992
Fermi-level density of states in states/eV per cell: 0.00
Space-group type: P1, No. 1

=====

No. 1
Density functional theory data (PBE) for a relaxed structure of TbY5Bi6.

Unit cell a=7.7662 b=7.7693 c=7.7686 alpha=60.00 beta=80.40 gamma=70.52
Positions (direct):
1 Bi 0.2503 0.9165 0.6664
2 Y 0.0000 0.3332 0.3336
3 Tb 0.0000 0.0000 0.0000
4 Bi 0.2499 0.2504 0.0000
5 Y 0.5000 0.5000 0.0000
6 Y 0.5000 0.1664 0.6672
7 Bi 0.7497 0.0835 0.3336
8 Y 0.5000 0.8336 0.3328
9 Bi 0.2503 0.5829 0.3336
10 Bi 0.7501 0.7496 0.0000
11 Bi 0.7497 0.4171 0.6664
12 Y 0.0000 0.6668 0.6664

Output
* energy relative to the elements: -895 meV/atom
* total moment: 0.00 Bohr magnetons per cell
* calculated volume: 383 Å³/cell

No. 2
Density functional theory data (PBE) for a relaxed structure of Tb3Y5Bi8.

Unit cell a=8.9756 b=8.9756 c=8.9738 alpha=59.99 beta=59.99 gamma=60.00
Positions (direct):
1 Y 0.5000 0.5000 0.5000
2 Bi 0.2500 0.7497 0.7503
3 Tb 0.0000 0.0000 0.5000
4 Bi 0.2503 0.7500 0.2497
5 Bi 0.7497 0.2500 0.7503
6 Tb 0.5000 0.0000 0.5000
7 Y 0.5000 0.5000 0.0000
8 Bi 0.2500 0.2500 0.7503
9 Bi 0.7498 0.7498 0.7505
10 Bi 0.2502 0.2502 0.2495
11 Bi 0.7500 0.7500 0.2497
12 Y 0.0000 0.5000 0.0000
13 Bi 0.7500 0.2503 0.2497
14 Y 0.5000 0.0000 0.0000
15 Tb 0.0000 0.5000 0.5000
16 Y 0.0000 0.0000 0.0000

Output
* energy relative to the elements: -890 meV/atom
* total moment: 0.00 Bohr magnetons per cell
* calculated volume: 511 Å³/cell

No. 3
Density functional theory data (PBE) for a relaxed structure of TbYBi.

Unit cell a=5.5131 b=5.5131 c=6.5802 alpha=90.00 beta=90.00 gamma=120.00
Positions (direct):
1 Y 0.6667 0.3333 0.7500
2 Bi 0.3333 0.6667 0.7500
3 Tb 0.0000 0.0000 0.0000
4 Tb 0.0000 0.0000 0.5000
5 Bi 0.6667 0.3333 0.2500
6 Y 0.3333 0.6667 0.2500

Output
* energy relative to the elements: -497 meV/atom
* total moment: 0.00 Bohr magnetons per cell
* calculated volume: 173 Å³/cell

No. 4
Density functional theory data (PBE) for a relaxed structure of Tb5Y2Bi4.

Unit cell a=3.5144 b=8.1924 c=15.0212 alpha=121.90 beta=96.72 gamma=90.00
Positions (direct):
1 Y 0.7321 0.6442 0.4643
2 Tb 0.8613 0.7757 0.7225
3 Y 0.2679 0.3558 0.5357
4 Tb 0.5000 0.0000 0.0000
5 Tb 0.1387 0.2243 0.2775
6 Tb 0.8293 0.1461 0.6587
7 Bi 0.5992 0.4585 0.1984
8 Tb 0.1707 0.8539 0.3413
9 Bi 0.0497 0.7897 0.0993
10 Bi 0.4008 0.5415 0.8016
11 Bi 0.9503 0.2103 0.9007

Output
* energy relative to the elements: -213 meV/atom
* total moment: 0.00 Bohr magnetons per cell
In one move, which cost the company nothing, Maury demonstrated he was listening, was there to rapidly make big changes, and was going to make smart decisions. Despite challenging conditions, and Maury being a very challenging guy at times, it was absolutely the right way to take his audience where it was and start moving forward.
What examples have you seen (or done) in starting change by taking people where they are? - Mike Brown